<<<
(1)
Diffraction record for BAuO3. The PXRD pattern is simulated, not measured: it uses a DFT-relaxed cell (GGA-PBE, the Materials Project) and Cu Kα (weighted mean of Kα1 and Kα2).

```
BAuO3
1.0
3.497 0.000 0.000
0.000 3.497 0.000
0.000 0.000 3.497
B Au O
1 1 3
Cartesian
0.000 0.000 0.000 B
1.748 1.748 1.748 Au
0.000 0.000 1.748 O
0.000 1.748 0.000 O
1.748 0.000 0.000 O
```

Peak list (8 most intense, 2θ = 10–90°, sorted by position)
two_theta, d (Å), Rel. int.
25.5, 3.497, 100
36.3, 2.473, 100
44.9, 2.019, 58
52.3, 1.748, 30
59.1, 1.564, 44
65.4, 1.428, 38
77.2, 1.236, 19
82.8, 1.166, 23

***

(2)
Diffraction record for TlPd3. The PXRD pattern is simulated, not measured: it uses a DFT-relaxed cell (GGA-PBE, the Materials Project) and Cu Kα (weighted mean of Kα1 and Kα2).

```
TlPd3
1.0
4.092 0.000 0.000
0.000 4.092 0.000
0.000 0.000 4.092
Tl Pd
1 3
Cartesian
0.000 0.000 0.000 Tl
0.000 2.046 2.046 Pd
2.046 0.000 2.046 Pd
2.046 2.046 0.000 Pd
```

Peak list (8 most intense, 2θ = 10–90°, sorted by position)
two_theta, d (Å), Rel. int.
21.7, 4.092, 9
30.9, 2.893, 8
38.1, 2.362, 100
44.3, 2.046, 49
49.8, 1.830, 4
64.4, 1.447, 32
77.4, 1.234, 37
81.5, 1.181, 11

***

(3)
Diffraction record for Mg6MnAl. The PXRD pattern is simulated, not measured: it uses a DFT-relaxed cell (GGA-PBE, the Materials Project) and Cu Kα (weighted mean of Kα1 and Kα2).

```
Mg6MnAl
1.0
4.873 0.000 0.000
0.000 6.244 0.000
0.000 0.000 10.740
Mg Mn Al
12 2 2
Cartesian
0.000 0.000 0.000 Mg
0.000 1.512 2.730 Mg
0.000 1.609 8.100 Mg
0.000 3.122 5.370 Mg
0.000 4.634 8.100 Mg
0.000 4.731 2.730 Mg
2.437 0.000 8.956 Mg
2.437 1.534 6.256 Mg
2.437 1.588 0.885 Mg
2.437 3.122 3.586 Mg
2.437 4.656 0.885 Mg
2.437 4.710 6.256 Mg
2.437 0.000 3.672 Mn
2.437 3.122 9.042 Mn
0.000 0.000 5.265 Al
0.000 3.122 10.635 Al
```

Peak list (8 most intense, 2θ = 10–90°, sorted by position)
two_theta, d (Å), Rel. int.
16.5, 5.388, 20
33.2, 2.699, 29
36.9, 2.437, 38
38.1, 2.361, 100
38.3, 2.352, 53
59.5, 1.553, 17
67.3, 1.392, 17
72.1, 1.310, 18

***

(4)
Diffraction record for Tb2Cl3. The PXRD pattern is simulated, not measured: it uses a DFT-relaxed cell (GGA-PBE, the Materials Project) and Cu Kα (weighted mean of Kα1 and Kα2).

```
Tb2Cl3
1.0
7.854 -1.944 0.000
7.854 1.944 0.000
-5.065 0.000 9.036
Tb Cl
4 6
Cartesian
-0.931 0.000 4.070 Tb
4.631 0.000 1.889 Tb
6.012 0.000 7.147 Tb
11.574 0.000 4.966 Tb
2.490 0.000 0.067 Cl
2.387 0.000 3.460 Cl
3.293 0.000 6.890 Cl
7.350 0.000 2.146 Cl
8.255 0.000 5.576 Cl
8.152 0.000 8.969 Cl
```

Peak list (8 most intense, 2θ = 10–90°, sorted by position)
two_theta, d (Å), Rel. int.
11.8, 7.505, 99
27.0, 3.304, 100
28.9, 3.091, 53
33.1, 2.709, 53
35.3, 2.542, 32
35.5, 2.527, 38
37.0, 2.430, 45
45.4, 1.996, 30

***

(5)
Diffraction record for La2ZrCuO6. The PXRD pattern is simulated, not measured: it uses a DFT-relaxed cell (GGA-PBE, the Materials Project) and Cu Kα (weighted mean of Kα1 and Kα2).

```
La2ZrCuO6
1.0
7.904 0.000 0.000
0.000 7.922 0.000
-0.326 0.000 8.686
La Zr Cu O
8 4 4 24
Cartesian
1.529 1.981 2.091 La
1.563 1.981 7.008 La
2.172 5.942 1.787 La
2.000 5.942 6.701 La
5.578 1.981 1.985 La
5.406 1.981 6.898 La
6.016 5.942 1.677 La
6.049 5.942 6.595 La
-0.163 0.000 4.343 Zr
-0.163 3.961 4.343 Zr
3.789 0.000 4.343 Zr
3.789 3.961 4.343 Zr
0.000 0.000 0.000 Cu
0.000 3.961 0.000 Cu
3.952 0.000 0.000 Cu
3.952 3.961 0.000 Cu
0.216 5.942 0.274 O
0.219 4.411 6.360 O
0.219 7.473 6.360 O
0.503 1.981 4.658 O
1.823 4.385 3.673 O
1.823 7.498 3.673 O
1.957 0.252 0.407 O
1.957 3.709 0.407 O
3.192 0.421 6.316 O
3.192 3.540 6.316 O
3.587 1.981 3.578 O
3.409 5.942 8.592 O
4.169 1.981 0.094 O
3.991 5.942 5.107 O
4.387 4.383 2.370 O
4.387 7.501 2.370 O
5.622 4.214 8.278 O
5.622 7.670 8.278 O
5.755 0.424 5.012 O
5.755 3.537 5.012 O
7.075 5.942 4.027 O
7.359 0.450 2.326 O
>>>
It remains to repeat everything further up without altering anything.
(1)
Diffraction record for BAuO3. The PXRD pattern is simulated, not measured: it uses a DFT-relaxed cell (GGA-PBE, the Materials Project) and Cu Kα (weighted mean of Kα1 and Kα2).

```
BAuO3
1.0
3.497 0.000 0.000
0.000 3.497 0.000
0.000 0.000 3.497
B Au O
1 1 3
Cartesian
0.000 0.000 0.000 B
1.748 1.748 1.748 Au
0.000 0.000 1.748 O
0.000 1.748 0.000 O
1.748 0.000 0.000 O
```

Peak list (8 most intense, 2θ = 10–90°, sorted by position)
two_theta, d (Å), Rel. int.
25.5, 3.497, 100
36.3, 2.473, 100
44.9, 2.019, 58
52.3, 1.748, 30
59.1, 1.564, 44
65.4, 1.428, 38
77.2, 1.236, 19
82.8, 1.166, 23

***

(2)
Diffraction record for TlPd3. The PXRD pattern is simulated, not measured: it uses a DFT-relaxed cell (GGA-PBE, the Materials Project) and Cu Kα (weighted mean of Kα1 and Kα2).

```
TlPd3
1.0
4.092 0.000 0.000
0.000 4.092 0.000
0.000 0.000 4.092
Tl Pd
1 3
Cartesian
0.000 0.000 0.000 Tl
0.000 2.046 2.046 Pd
2.046 0.000 2.046 Pd
2.046 2.046 0.000 Pd
```

Peak list (8 most intense, 2θ = 10–90°, sorted by position)
two_theta, d (Å), Rel. int.
21.7, 4.092, 9
30.9, 2.893, 8
38.1, 2.362, 100
44.3, 2.046, 49
49.8, 1.830, 4
64.4, 1.447, 32
77.4, 1.234, 37
81.5, 1.181, 11

***

(3)
Diffraction record for Mg6MnAl. The PXRD pattern is simulated, not measured: it uses a DFT-relaxed cell (GGA-PBE, the Materials Project) and Cu Kα (weighted mean of Kα1 and Kα2).

```
Mg6MnAl
1.0
4.873 0.000 0.000
0.000 6.244 0.000
0.000 0.000 10.740
Mg Mn Al
12 2 2
Cartesian
0.000 0.000 0.000 Mg
0.000 1.512 2.730 Mg
0.000 1.609 8.100 Mg
0.000 3.122 5.370 Mg
0.000 4.634 8.100 Mg
0.000 4.731 2.730 Mg
2.437 0.000 8.956 Mg
2.437 1.534 6.256 Mg
2.437 1.588 0.885 Mg
2.437 3.122 3.586 Mg
2.437 4.656 0.885 Mg
2.437 4.710 6.256 Mg
2.437 0.000 3.672 Mn
2.437 3.122 9.042 Mn
0.000 0.000 5.265 Al
0.000 3.122 10.635 Al
```

Peak list (8 most intense, 2θ = 10–90°, sorted by position)
two_theta, d (Å), Rel. int.
16.5, 5.388, 20
33.2, 2.699, 29
36.9, 2.437, 38
38.1, 2.361, 100
38.3, 2.352, 53
59.5, 1.553, 17
67.3, 1.392, 17
72.1, 1.310, 18

***

(4)
Diffraction record for Tb2Cl3. The PXRD pattern is simulated, not measured: it uses a DFT-relaxed cell (GGA-PBE, the Materials Project) and Cu Kα (weighted mean of Kα1 and Kα2).

```
Tb2Cl3
1.0
7.854 -1.944 0.000
7.854 1.944 0.000
-5.065 0.000 9.036
Tb Cl
4 6
Cartesian
-0.931 0.000 4.070 Tb
4.631 0.000 1.889 Tb
6.012 0.000 7.147 Tb
11.574 0.000 4.966 Tb
2.490 0.000 0.067 Cl
2.387 0.000 3.460 Cl
3.293 0.000 6.890 Cl
7.350 0.000 2.146 Cl
8.255 0.000 5.576 Cl
8.152 0.000 8.969 Cl
```

Peak list (8 most intense, 2θ = 10–90°, sorted by position)
two_theta, d (Å), Rel. int.
11.8, 7.505, 99
27.0, 3.304, 100
28.9, 3.091, 53
33.1, 2.709, 53
35.3, 2.542, 32
35.5, 2.527, 38
37.0, 2.430, 45
45.4, 1.996, 30

***

(5)
Diffraction record for La2ZrCuO6. The PXRD pattern is simulated, not measured: it uses a DFT-relaxed cell (GGA-PBE, the Materials Project) and Cu Kα (weighted mean of Kα1 and Kα2).

```
La2ZrCuO6
1.0
7.904 0.000 0.000
0.000 7.922 0.000
-0.326 0.000 8.686
La Zr Cu O
8 4 4 24
Cartesian
1.529 1.981 2.091 La
1.563 1.981 7.008 La
2.172 5.942 1.787 La
2.000 5.942 6.701 La
5.578 1.981 1.985 La
5.406 1.981 6.898 La
6.016 5.942 1.677 La
6.049 5.942 6.595 La
-0.163 0.000 4.343 Zr
-0.163 3.961 4.343 Zr
3.789 0.000 4.343 Zr
3.789 3.961 4.343 Zr
0.000 0.000 0.000 Cu
0.000 3.961 0.000 Cu
3.952 0.000 0.000 Cu
3.952 3.961 0.000 Cu
0.216 5.942 0.274 O
0.219 4.411 6.360 O
0.219 7.473 6.360 O
0.503 1.981 4.658 O
1.823 4.385 3.673 O
1.823 7.498 3.673 O
1.957 0.252 0.407 O
1.957 3.709 0.407 O
3.192 0.421 6.316 O
3.192 3.540 6.316 O
3.587 1.981 3.578 O
3.409 5.942 8.592 O
4.169 1.981 0.094 O
3.991 5.942 5.107 O
4.387 4.383 2.370 O
4.387 7.501 2.370 O
5.622 4.214 8.278 O
5.622 7.670 8.278 O
5.755 0.424 5.012 O
5.755 3.537 5.012 O
7.075 5.942 4.027 O
7.359 0.450 2.326 O